____________
# 1
Here is crystalline BeTcBr2 at its relaxed geometry from the Alexandria database. Energies are from PBE-GGA.

a b c (Å): 3.2223 3.2223 7.9533
angles (deg): 90.00 90.00 90.00
Space group P4mm (No. 99)
Symmetry-distinct sites (fractional):
Be (0.0000, 0.0000, 0.0000)
Tc (0.5000, 0.5000, 0.8951)
Br (0.0000, 0.0000, 0.6740)
Br (0.5000, 0.5000, 0.2076)

Summary:
formation energy without anion corrections: 0.9 eV/f.u.
energy relative to the lowest polymorph listed for this composition: 63 kJ/mol of formula units
magnetic moment: 0.84 μB per cell
final energy: -4.123 eV per atom



# 2
Here is crystalline BeTcBr2 at its relaxed geometry from the Alexandria database. Energies are from PBE-GGA.

a b c (Å): 3.2604 3.4460 7.6234
angles (deg): 90.00 90.09 90.00
Space group Pm (No. 6)
Symmetry-distinct sites (fractional):
Be (0.0000, 0.0000, 0.0000)
Tc (0.4998, 0.5000, 0.9350)
Br (0.5010, 0.0000, 0.2220)
Br (0.9988, 0.5000, 0.6816)

Summary:
formation energy without anion corrections: 0.5 eV/f.u.
energy relative to the lowest polymorph listed for this composition: 18 kJ/mol of formula units
magnetic moment: 1.07 μB per cell
final energy: -4.240 eV per atom



# 3
Here is crystalline BeTc2Br at its relaxed geometry from the Alexandria database. Energies are from PBE-GGA.

a b c (Å): 5.9966 5.9966 5.9966
angles (deg): 90.00 90.00 90.00
Space group Fm-3m (No. 225)
Symmetry-distinct sites (fractional):
Be (0.0000, 0.0000, 0.0000)
Tc (0.2500, 0.2500, 0.2500)
Br (0.0000, 0.0000, 0.5000)

Summary:
formation energy without anion corrections: 3.2 eV/f.u.
energy relative to the lowest polymorph listed for this composition: 199 kJ/mol of formula units
magnetic moment: 0.00 μB per cell
final energy: -5.725 eV per atom



# 4
Here is crystalline BeTc3Br at its relaxed geometry from the Alexandria database. Energies are from PBE-GGA.

a b c (Å): 4.2532 4.2532 4.2532
angles (deg): 90.00 90.00 90.00
Space group Pm-3m (No. 221)
Symmetry-distinct sites (fractional):
Be (0.0000, 0.0000, 0.0000)
Tc (0.0000, 0.0000, 0.5000)
Br (0.5000, 0.5000, 0.5000)

Summary:
formation energy without anion corrections: 6.3 eV/f.u.
energy relative to the lowest polymorph listed for this composition: 0 kJ/mol of formula units
magnetic moment: 0.05 μB per cell
final energy: -6.037 eV per atom



# 5
Here is crystalline Be2TcBr at its relaxed geometry from the Alexandria database. Energies are from PBE-GGA.

a b c (Å): 3.6238 3.6238 19.7400
angles (deg): 90.00 90.00 120.00
Space group R3m (No. 160, hexagonal axes)
Symmetry-distinct sites (fractional):
Be (0.0000, 0.0000, 0.0000)
Be (0.0000, 0.0000, 0.3331)
Tc (0.0000, 0.0000, 0.6117)
Br (0.0000, 0.0000, 0.8533)

Summary:
formation energy without anion corrections: 1.2 eV/f.u.
energy relative to the lowest polymorph listed for this composition: 16 kJ/mol of formula units
magnetic moment: 6.04 μB per cell
final energy: -4.585 eV per atom



# 6
Here is crystalline BeTc2Br at its relaxed geometry from the Alexandria database. Energies are from PBE-GGA.

a b c (Å): 8.4287 3.0249 4.7726
angles (deg): 90.00 107.08 90.00
Space group Cm (No. 8)
Symmetry-distinct sites (fractional):
Be (0.0000, 0.0000, 0.0000)
Tc (0.0170, 0.5000, 0.6308)
Tc (0.2780, 0.0000, 0.9605)
Br (0.2575, 0.5000, 0.3755)

Summary:
formation energy without anion corrections: 2.4 eV/f.u.
energy relative to the lowest polymorph listed for this composition: 122 kJ/mol of formula units
magnetic moment: 0.00 μB per cell
final energy: -5.923 eV per atom



- Look up the magnetic moment of the second one.
  1.07 μB per cell
____________
What is needed: print all of the contents earlier on without altering anything.
# 1
Here is crystalline BeTcBr2 at its relaxed geometry from the Alexandria database. Energies are from PBE-GGA.

a b c (Å): 3.2223 3.2223 7.9533
angles (deg): 90.00 90.00 90.00
Space group P4mm (No. 99)
Symmetry-distinct sites (fractional):
Be (0.0000, 0.0000, 0.0000)
Tc (0.5000, 0.5000, 0.8951)
Br (0.0000, 0.0000, 0.6740)
Br (0.5000, 0.5000, 0.2076)

Summary:
formation energy without anion corrections: 0.9 eV/f.u.
energy relative to the lowest polymorph listed for this composition: 63 kJ/mol of formula units
magnetic moment: 0.84 μB per cell
final energy: -4.123 eV per atom



# 2
Here is crystalline BeTcBr2 at its relaxed geometry from the Alexandria database. Energies are from PBE-GGA.

a b c (Å): 3.2604 3.4460 7.6234
angles (deg): 90.00 90.09 90.00
Space group Pm (No. 6)
Symmetry-distinct sites (fractional):
Be (0.0000, 0.0000, 0.0000)
Tc (0.4998, 0.5000, 0.9350)
Br (0.5010, 0.0000, 0.2220)
Br (0.9988, 0.5000, 0.6816)

Summary:
formation energy without anion corrections: 0.5 eV/f.u.
energy relative to the lowest polymorph listed for this composition: 18 kJ/mol of formula units
magnetic moment: 1.07 μB per cell
final energy: -4.240 eV per atom



# 3
Here is crystalline BeTc2Br at its relaxed geometry from the Alexandria database. Energies are from PBE-GGA.

a b c (Å): 5.9966 5.9966 5.9966
angles (deg): 90.00 90.00 90.00
Space group Fm-3m (No. 225)
Symmetry-distinct sites (fractional):
Be (0.0000, 0.0000, 0.0000)
Tc (0.2500, 0.2500, 0.2500)
Br (0.0000, 0.0000, 0.5000)

Summary:
formation energy without anion corrections: 3.2 eV/f.u.
energy relative to the lowest polymorph listed for this composition: 199 kJ/mol of formula units
magnetic moment: 0.00 μB per cell
final energy: -5.725 eV per atom



# 4
Here is crystalline BeTc3Br at its relaxed geometry from the Alexandria database. Energies are from PBE-GGA.

a b c (Å): 4.2532 4.2532 4.2532
angles (deg): 90.00 90.00 90.00
Space group Pm-3m (No. 221)
Symmetry-distinct sites (fractional):
Be (0.0000, 0.0000, 0.0000)
Tc (0.0000, 0.0000, 0.5000)
Br (0.5000, 0.5000, 0.5000)

Summary:
formation energy without anion corrections: 6.3 eV/f.u.
energy relative to the lowest polymorph listed for this composition: 0 kJ/mol of formula units
magnetic moment: 0.05 μB per cell
final energy: -6.037 eV per atom



# 5
Here is crystalline Be2TcBr at its relaxed geometry from the Alexandria database. Energies are from PBE-GGA.

a b c (Å): 3.6238 3.6238 19.7400
angles (deg): 90.00 90.00 120.00
Space group R3m (No. 160, hexagonal axes)
Symmetry-distinct sites (fractional):
Be (0.0000, 0.0000, 0.0000)
Be (0.0000, 0.0000, 0.3331)
Tc (0.0000, 0.0000, 0.6117)
Br (0.0000, 0.0000, 0.8533)

Summary:
formation energy without anion corrections: 1.2 eV/f.u.
energy relative to the lowest polymorph listed for this composition: 16 kJ/mol of formula units
magnetic moment: 6.04 μB per cell
final energy: -4.585 eV per atom



# 6
Here is crystalline BeTc2Br at its relaxed geometry from the Alexandria database. Energies are from PBE-GGA.

a b c (Å): 8.4287 3.0249 4.7726
angles (deg): 90.00 107.08 90.00
Space group Cm (No. 8)
Symmetry-distinct sites (fractional):
Be (0.0000, 0.0000, 0.0000)
Tc (0.0170, 0.5000, 0.6308)
Tc (0.2780, 0.0000, 0.9605)
Br (0.2575, 0.5000, 0.3755)

Summary:
formation energy without anion corrections: 2.4 eV/f.u.
energy relative to the lowest polymorph listed for this composition: 122 kJ/mol of formula units
magnetic moment: 0.00 μB per cell
final energy: -5.923 eV per atom



- Look up the magnetic moment of the second one.
  1.07 μB per cell